### Source
=====
Structure and calculated PXRD pattern of CS14 (a crystal structure in the Materials Project, relaxed with PBE; copper Kα).

Main lines, in order of falling intensity (2θ from 5° to 70°):
| d [Å] | 2θ/deg | intensity | index |
| --- | --- | --- | --- |
| 3.642 | 24.4 | 100 | 2 1 1 |
| 2.645 | 33.9 | 64 | 0 3 3 |
| 3.967 | 22.4 | 53 | 2 0 2 |
| 5.439 | 16.3 | 51 | 0 1 2 |
| 4.314 | 20.6 | 32 | 0 0 3 |
| 4.681 | 19.0 | 24 | 0 2 1 |
| 3.347 | 26.6 | 20 | 3 0 0 |
| 1.933 | 47.0 | 19 | 3 3 0 |

Cell and atoms:
Lattice parameters (Å, degrees): 11.5954 11.5954 12.9418 90.00 90.00 120.00
Space group R-3m (No. 166, hexagonal axes)
=====

### Job
Your job: echo everything above word for word.

### Here it is
Structure and calculated PXRD pattern of CS14 (a crystal structure in the Materials Project, relaxed with PBE; copper Kα).

Main lines, in order of falling intensity (2θ from 5° to 70°):
| d [Å] | 2θ/deg | intensity | index |
| --- | --- | --- | --- |
| 3.642 | 24.4 | 100 | 2 1 1 |
| 2.645 | 33.9 | 64 | 0 3 3 |
| 3.967 | 22.4 | 53 | 2 0 2 |
| 5.439 | 16.3 | 51 | 0 1 2 |
| 4.314 | 20.6 | 32 | 0 0 3 |
| 4.681 | 19.0 | 24 | 0 2 1 |
| 3.347 | 26.6 | 20 | 3 0 0 |
| 1.933 | 47.0 | 19 | 3 3 0 |

Cell and atoms:
Lattice parameters (Å, degrees): 11.5954 11.5954 12.9418 90.00 90.00 120.00
Space group R-3m (No. 166, hexagonal axes)